Lauren Singer is an environmental activist, author, investor, and influencer, whose Instagram page (@trashisfortossers) has about 350k followers. We asked her about the most exciting developments in sustainability, and what individuals can do to make a difference.

Lauren Singer
Environmental activist, author, investor, influencer — @trashisfortossers
“Doing little things in our everyday lives can significantly reduce the amount of methane we’re generating.”
What does sustainable living mean to you?
I look at and measure myself against what my values are for environmental sustainability, which reflects the state of the world. How dire is the climate crisis? How imminent is the threat of climate change? How can I best adjust my personal lifestyle and goals to reflect a more positive future?
I focus on waste because when you look at the climate crisis, most people focus on how we need to reduce carbon dioxide in the long term. However, in the short term, there’s this gas called methane, which is produced mainly from animal agriculture, natural gas, and landfill waste. If we want to reduce the immediate threat to climate change through methane emissions, we can address those three things.
Doing little things in our everyday lives can significantly reduce the amount of methane we’re generating. I chose that to focus on because it seems like one of the most tangible ways we can have a direct impact on the number of warming gasses that we’re contributing to the planet.
-- Unrelated to this article: materials data --
........
Entry from the Alexandria database: a relaxed Ba3Cu2Ag4 crystal (GGA-PBE).

Summary:
**ΔE_f**: -1.69 eV/f.u.
**ρ**: 6144 kg/m3

CIF file:
```
data_Ba3Cu2Ag4
_cell_length_a 12.1504
_cell_length_b 4.7485
_cell_length_c 9.3860
_cell_angle_alpha 90.00
_cell_angle_beta 104.35
_cell_angle_gamma 90.00
_space_group_name_H-M_alt 'C 1 2/m 1'
_space_group_IT_number 12
loop_
_space_group_symop_operation_xyz
'x,y,z'
'-x,-y,-z'
'-x,y,-z'
'x,-y,z'
'x+1/2,y+1/2,z'
'-x+1/2,-y+1/2,-z'
'-x+1/2,y+1/2,-z'
'x+1/2,-y+1/2,z'
loop_
_atom_site_label
_atom_site_type_symbol
_atom_site_fract_x
_atom_site_fract_y
_atom_site_fract_z
Ba1 Ba 0.0000 0.0000 0.0000
Ba2 Ba 0.1667 0.5000 0.6638
Cu1 Cu 0.1104 0.5000 0.2808
Ag1 Ag 0.0574 0.0000 0.3819
Ag2 Ag 0.2181 0.5000 0.0642
```

Entry from the Alexandria database: a relaxed YTe2Ru crystal (GGA-PBE).

Summary:
**Energy above the most stable polymorph in this dataset**: 0.315 eV per atom
**ρ**: 8116 kg/m3

CIF file:
```
data_YTe2Ru
_cell_length_a 4.2674
_cell_length_b 4.2674
_cell_length_c 10.0034
_cell_angle_alpha 90.00
_cell_angle_beta 90.00
_cell_angle_gamma 90.00
_space_group_name_H-M_alt 'I -4 m 2'
_space_group_IT_number 119
_space_group_name_Hall 'I -4 -2'
loop_
_atom_site_label
_atom_site_type_symbol
_atom_site_fract_x
_atom_site_fract_y
_atom_site_fract_z
Y1 Y 0.0000 0.0000 0.0000
Te1 Te 0.0000 0.0000 0.5000
Te2 Te 0.0000 0.5000 0.2500
Ru1 Ru 0.0000 0.5000 0.7500
```

Entry from the Alexandria database: a relaxed Tl2BiSb2 crystal (GGA-PBE).

Summary:
**Energy above the most stable polymorph in this dataset**: 0.221 eV per atom
**ρ**: 9100 kg/m3

CIF file:
```
data_Tl2BiSb2
_cell_length_a 9.7971
_cell_length_b 9.7971
_cell_length_c 3.2747
_cell_angle_alpha 90.00
_cell_angle_beta 90.00
_cell_angle_gamma 90.00
_space_group_name_H-M_alt 'P 4/m b m'
_space_group_IT_number 127
_space_group_name_Hall '-P 4 2ab'
loop_
_atom_site_label
_atom_site_type_symbol
_atom_site_fract_x
_atom_site_fract_y
_atom_site_fract_z
Tl1 Tl 0.1246 0.3754 0.0000
Bi1 Bi 0.0000 0.0000 0.0000
Sb1 Sb 0.1746 0.6746 0.5000
```

Entry from the Alexandria database: a relaxed Rb2ZnTeF6 crystal (GGA-PBE).

Summary:
**DFT total energy**: -77.947 eV/cell
**ρ**: 4144 kg/m3

CIF file:
```
data_Rb2ZnTeF6
_cell_length_a 6.6554
_cell_length_b 6.6554
_cell_length_c 8.6467
_cell_angle_alpha 90.00
_cell_angle_beta 90.00
_cell_angle_gamma 90.00
_space_group_name_H-M_alt 'I 4/m m m'
_space_group_IT_number 139
_space_group_name_Hall '-I 4 2'
loop_
_atom_site_label
_atom_site_type_symbol
_atom_site_fract_x
_atom_site_fract_y
_atom_site_fract_z
Rb1 Rb 0.0000 0.5000 0.2500
Zn1 Zn 0.0000 0.0000 0.0000
Te1 Te 0.0000 0.0000 0.5000
F1 F 0.0000 0.0000 0.2564
F2 F 0.2132 0.2132 0.0000
```

Entry from the Alexandria database: a relaxed UNb2Se6 crystal (GGA-PBE).

Summary:
**DFT total energy**: -117.107 eV/cell
**ρ**: 6211 kg/m3

CIF file:
```
data_UNb2Se6
_cell_length_a 13.1642
_cell_length_b 4.7370
_cell_length_c 9.3868
_cell_angle_alpha 90.00
_cell_angle_beta 124.91
........
What are some misconceptions you feel people have about living a sustainable life?
I think for a lot of people, it’s hard to know where to start. Because where do you start? I think one of the misconceptions is that individuals can’t make an impact. But we create negative impacts every single day — that is measurable. Making purchasing decisions, and choices about what we throw away or don’t throw away, or compost or don’t, that directly impacts our climate.
I focused on trash, because there are so many different points of action that you can take. And that’s why I started Trash is For Tossers; I wanted to outline a variety so that if you wanted to take action, you could pick one thing that seems easy enough for you and it has a direct and tangible impact on climates. We as individuals make a difference — whether that’s positive or negative depends on our choices.
Prior to starting Trash is For Tossers, what inspired you to make the switch to a zero-waste lifestyle?
I first started to learn about environmental science and climactic systems in academia. I went to grassroots activism to leverage my power the way I knew how at the time, which was protesting. When I felt that that wasn’t powerful enough, I asked myself, “How can I change to align my actions and values better with the world I want to see?”
I started reducing waste to reduce my methane emissions, and have a lower contribution to greenhouse gas emissions. I took individual values and actions and put them into play, whether it was in my original jobs that I had at the Department of Environmental Protection, or starting my two companies, The Simply Co. and Package Free Shop.
Now I have a venture fund that I started with two other women where I invest capital to support and grow businesses at the early stage, addressing climate change. Every single value that I have, I’ve tried to figure out a way to leverage those into building a business or creating something that can have a bigger impact outside of just my individual actions.
Beyond your own personal work, what are new initiatives being brought to light within sustainability that you feel would benefit those inspired to make a change?
What I’m seeing through my work in venture [capitalism] is things that will never reach a consumer — things that they’ll never see — but that they’ll benefit from. All the software, technologies, biotech, and science that goes into making things more efficient, or reducing impact and friction, that’s what I’m really inspired by.
It’s important for people to know that there’s a lot of change happening behind the scenes — you just might not see it right now. Something that’s a bright light for a lot of people is the Inflation Reduction Act and all the infrastructure legislation that’s passed. It’s creating huge amounts of incentive to reduce emissions and advance technology. These incentives will drive technology forward and help reach necessary climate goals.
That makes me hugely optimistic because people were trying to do this before there were any legislative mandates to do so. Now, there’s legislation and financial incentives, which will only supercharge the efforts that have been in the works for such a long time.
Stuff is happening. You might not see it as an individual right now, but I feel really excited to be on the forefront of seeing it as someone who’s now deploying capital through a venture fund.
Last time we spoke, you offered a few tips for small steps we can take toward a zero-waste lifestyle. Do you have any updated tips for those who already have taken your previous advice?
If we’re looking at just waste, composting is still my No. 1, and I think it’s becoming easier. At-home composting through Lomi, Mill, or Vitamix can be used to help reduce food waste sent to landfills.
I’m the biggest supporter of shopping secondhand; with every passing day, it becomes easier with the growth of interest in secondhand, especially for Gen Z. As well as the software and online platforms, and the direct-to-consumer aspect of how easy it is through The RealReal and Poshmark. More than that, is buying less, and not buying things new or used.
That’s on the individual front, and more to my point about methane emissions, which will have more of an importance in the narrative around climate change. If we look at where methane emissions come from, reducing our waste in landfills is a powerful way to do that.
The animal agriculture sector is the largest source of anthropogenic methane emissions. Reducing your consumption of dairy and meat is a great way to pause anthropogenic methane emissions derived from ruminant animals that do enteric fermentation. Not everybody wants to stop eating meat, but if you eat a little bit less, or drink a little bit less milk, or contribute a little bit less to that industry, it makes a difference.
Something that’s cool is companies are making food additives to reduce the amount of methane that animals are producing. One that I love is Alga Biosciences; it’s a seaweed additive that goes into animals’ food that reduces their detectable methane emissions.